Input:
8
Lattice="0.0000 4.3387 4.3387 4.3387 0.0000 4.3387 4.3387 4.3387 0.0000" Properties=species:S:1:pos:R:3 comment="Cd7Fe PBE-GGA optimized geometry" vol_a3_per_atom=20.42 magmom_total_mub_per_cell=2.62 ef_ev_per_atom=0.1561 rho_g_cm3=8.57 dos_ef_per_ev_atom=0.489 pbc="T T T"
Cd 0.0000 2.1694 2.1694
Cd 2.1694 2.1694 0.0000
Cd 2.1694 4.3387 2.1694
Cd 2.1694 0.0000 2.1694
Cd 2.1694 2.1694 4.3387
Cd 4.3387 2.1694 2.1694
Cd 4.3387 4.3387 4.3387
Fe 0.0000 0.0000 0.0000

* * * * *

1.
# SrFeCu3 (PBE-GGA, optimized geometry)
data_SrFeCu3
_chemical_formula_sum 'Sr1 Fe1 Cu3'
_cell_length_a 5.097
_cell_length_b 5.097
_cell_length_c 5.097
_cell_angle_alpha 90.00
_cell_angle_beta 90.00
_cell_angle_gamma 90.00
_space_group_name_H-M_alt 'P 1'
_space_group_IT_number 1
loop_
_space_group_symop_operation_xyz
'x,y,z'
loop_
_atom_site_label
_atom_site_fract_x
_atom_site_fract_y
_atom_site_fract_z
Sr1 0.000 0.000 0.000
Fe1 0.500 0.500 0.500
Cu1 0.000 0.500 0.000
Cu2 0.000 0.000 0.500
Cu3 0.500 0.000 0.000
# SG = No. 221
# Energy relative to the elements = 208 kJ/mol of atoms



2.
# SrFe2Cu (PBE-GGA, optimized geometry)
data_SrFe2Cu
_chemical_formula_sum 'Sr1 Fe2 Cu1'
_cell_length_a 4.150
_cell_length_b 4.150
_cell_length_c 5.914
_cell_angle_alpha 69.40
_cell_angle_beta 69.40
_cell_angle_gamma 60.01
_space_group_name_H-M_alt 'P 1'
_space_group_IT_number 1
loop_
_space_group_symop_operation_xyz
'x,y,z'
loop_
_atom_site_label
_atom_site_fract_x
_atom_site_fract_y
_atom_site_fract_z
Cu1 0.250 0.250 0.250
Fe1 0.942 0.942 0.174
Fe2 0.558 0.558 0.326
Sr1 0.750 0.750 0.750
# SG = No. 12
# Energy relative to the elements = 34 kJ/mol of atoms



3.
# SrFe2Cu (PBE-GGA, optimized geometry)
data_SrFe2Cu
_chemical_formula_sum 'Sr1 Fe2 Cu1'
_cell_length_a 3.195
_cell_length_b 3.197
_cell_length_c 7.010
_cell_angle_alpha 90.00
_cell_angle_beta 90.00
_cell_angle_gamma 90.00
_space_group_name_H-M_alt 'P 1'
_space_group_IT_number 1
loop_
_space_group_symop_operation_xyz
'x,y,z'
loop_
_atom_site_label
_atom_site_fract_x
_atom_site_fract_y
_atom_site_fract_z
Cu1 0.500 0.500 0.818
Fe1 0.000 0.000 0.017
Fe2 0.500 0.500 0.166
Sr1 0.000 0.000 0.499
# SG = No. 99
# Energy relative to the elements = 41 kJ/mol of atoms



4.
# SrFeCu (PBE-GGA, optimized geometry)
data_SrFeCu
_chemical_formula_sum 'Sr1 Fe1 Cu1'
_cell_length_a 4.152
_cell_length_b 4.152
_cell_length_c 4.573
_cell_angle_alpha 90.00
_cell_angle_beta 90.00
_cell_angle_gamma 120.00
_space_group_name_H-M_alt 'P 1'
_space_group_IT_number 1
loop_
_space_group_symop_operation_xyz
'x,y,z'
loop_
_atom_site_label
_atom_site_fract_x
_atom_site_fract_y
_atom_site_fract_z
Cu1 0.000 0.000 0.166
Fe1 0.667 0.333 0.167
Sr1 0.333 0.667 0.667
# SG = No. 187
# Energy relative to the elements = 34 kJ/mol of atoms

* * * * *

## YSc2 (GGA-PBE)

Data for crystalline YSc2 at its relaxed geometry.

Lattice parameters (Å, degrees): 7.047 7.047 7.047 90.00 90.00 90.00
Fractional coordinates of all 12 atoms:
Y 0.000 0.000 0.000
Y 0.000 0.500 0.500
Y 0.500 0.000 0.500
Y 0.500 0.500 0.000
Sc 0.143 0.643 0.857
Sc 0.143 0.857 0.357
Sc 0.357 0.143 0.857
Sc 0.357 0.357 0.357
Sc 0.643 0.643 0.643
Sc 0.643 0.857 0.143
Sc 0.857 0.143 0.643
Sc 0.857 0.357 0.143

Computed properties:
The value obtained for the density of states at the Fermi level is 22.82 states/eV/cell. The space-group type is Pa-3 (205). As for the relative energy among the computed polymorphs: 0.961 eV/atom.



## CaZnS (GGA-PBE)

Data for crystalline CaZnS at its relaxed geometry.

Lattice parameters (Å, degrees): 3.696 3.889 6.223 72.21 89.88 90.00
Fractional coordinates of all 3 atoms:
Ca 0.000 0.000 0.000
Zn 0.506 0.228 0.541
S 0.499 0.435 0.134

Computed properties:
The value obtained for the formation energy without anion corrections is -0.9387 eV per atom. The value obtained for the density of states at the Fermi level is 0.34 states/eV/cell. The space-group type is P1 (1). As for the relative energy among the computed polymorphs: 0.220 eV/atom.



## Na2Cd4Sn5 (GGA-PBE)

Wanted:
The reader should work out how many lines earlier on have the word "polymorphs" in them; a number is enough.

Result:
2